Your job: search the calculation results further below for the word "Raw" and type out each line that has it.
- - -
Computed, not measured: a relaxed BiHN3 crystal at the GGA-PBE level of DFT.

Summary:
Symmetry ... Pm-3m, No. 221
V ... 89 Å³ per cell
Raw total energy ... -18.87 eV/f.u.
DOS at the Fermi energy ... 2.1 states/eV per cell

Geometry as POSCAR:
```
BiHN3
1.0
4.458 0.000 0.000
0.000 4.458 0.000
0.000 0.000 4.458
N H Bi
3 1 1
Cartesian
2.229 0.000 0.000 N
0.000 2.229 0.000 N
0.000 0.000 2.229 N
2.229 2.229 2.229 H
0.000 0.000 0.000 Bi
```


Computed, not measured: a relaxed BiHN crystal at the GGA-PBE level of DFT.

Summary:
Symmetry ... Pmmn, No. 59
V ... 95 Å³ per cell
Energy relative to the lowest polymorph listed for this composition ... 416 meV/atom
DOS at the Fermi energy ... 1.5 states/eV per cell

Geometry as POSCAR:
```
BiHN
1.0
-0.530 0.104 -3.430
-2.007 -4.037 0.188
-9.349 -5.379 1.283
H Bi N
2 2 2
Cartesian
-2.379 -1.650 0.237 H
-4.760 -3.053 -1.195 H
-7.634 -6.571 0.900 Bi
-1.512 -2.169 -1.670 Bi
-9.261 -5.831 -0.583 N
-7.227 -4.251 0.908 N
```


Computed, not measured: a relaxed NbBiH2N crystal at the GGA-PBE level of DFT.

Summary:
Symmetry ... P4/mmm, No. 123
V ... 75 Å³ per cell
Raw total energy ... -24.35 eV/f.u.
DOS at the Fermi energy ... 3.3 states/eV per cell

Geometry as POSCAR:
```
NbBiH2N
1.0
-2.980 1.018 1.684
0.005 -3.053 1.853
3.259 2.565 4.217
H Nb Bi N
2 1 1 1
Cartesian
0.002 -1.526 0.927 H
-1.490 0.509 0.842 H
0.000 0.000 0.000 Nb
1.629 1.282 2.109 Bi
0.142 0.265 3.877 N
```


Computed, not measured: a relaxed Pa2Bi2HN crystal at the GGA-PBE level of DFT.

Summary:
Symmetry ... Ibam, No. 72
V ... 251 Å³ per cell
Raw total energy ... -42.72 eV/f.u.
DOS at the Fermi energy ... 7.3 states/eV per cell

Geometry as POSCAR:
```
Pa2Bi2HN
1.0
5.813 0.000 0.000
0.000 5.774 0.000
-2.907 -2.887 7.492
Pa Bi H N
4 4 2 2
Cartesian
1.579 2.887 1.191 Pa
4.234 0.000 1.191 Pa
1.328 0.000 6.302 Pa
-1.328 2.887 6.302 Pa
4.467 2.887 2.681 Bi
1.561 2.887 4.812 Bi
-1.561 0.000 4.812 Bi
1.346 0.000 2.681 Bi
0.000 1.444 0.000 H
0.000 4.331 0.000 H
2.907 4.331 0.000 N
2.907 1.444 0.000 N
```


Computed, not measured: a relaxed BiHSN2 crystal at the GGA-PBE level of DFT.

Summary:
Symmetry ... P4/mmm, No. 123
V ... 109 Å³ per cell
Energy relative to the lowest polymorph listed for this composition ... 441 meV/atom
DOS at the Fermi energy ... 2.0 states/eV per cell

Geometry as POSCAR:
```
BiHSN2
1.0
4.543 0.000 0.000
0.000 4.543 0.000
0.000 0.000 5.288
S N Bi H
1 2 1 1
Cartesian
0.000 0.000 2.644 S
2.272 0.000 0.000 N
0.000 2.272 0.000 N
0.000 0.000 0.000 Bi
2.272 2.272 2.644 H
```


Computed, not measured: a relaxed BiHS2N crystal at the GGA-PBE level of DFT.

Summary:
Symmetry ... P4/mmm, No. 123
V ... 133 Å³ per cell
Energy relative to the lowest polymorph listed for this composition ... 640 meV/atom
DOS at the Fermi energy ... 5.8 states/eV per cell

Geometry as POSCAR:
```
BiHS2N
1.0
-4.325 0.836 -2.943
1.883 -3.289 -3.702
-2.150 -3.627 2.129
H S Bi N
1 2 1 1
Cartesian
-2.296 -3.040 -2.258 H
-2.162 0.418 -1.472 S
0.942 -1.644 -1.851 S
0.000 0.000 0.000 Bi
-1.075 -1.814 1.064 N
```


Computed, not measured: a relaxed BiHSN2 crystal at the GGA-PBE level of DFT.

Summary:
Symmetry ... P4/mmm, No. 123
V ... 59 Å³ per cell
- - -
Raw total energy ... -18.87 eV/f.u.
Raw total energy ... -24.35 eV/f.u.
Raw total energy ... -42.72 eV/f.u.